This article summarizes nine types of unemployment. In addition to the four listed above, it explains long-term, seasonal, and classical unemployment. It also explains the terms “real unemployment” and “underemployment.”

What Is Unemployment?

The Bureau of Labor Statistics (BLS) defines unemployment very specifically. To count as unemployed, out-of-work employees must have these three qualities: This last point is important and often controversial. If someone has stopped looking for work, the BLS no longer counts them as being part of the labor force or as unemployed. But it does report them separately under the category of “marginally attached to the labor force.” These are people who look for work in the past 12 months but not in the past four weeks. To calculate the unemployment rate, divide the number of unemployed by the number in the labor force.

Cyclical Unemployment

Cyclical unemployment is caused by the contraction phase of the business cycle. That’s when the demand for goods and services falls dramatically. It forces businesses to lay off large numbers of workers to cut costs. Cyclical unemployment creates more unemployment. The laid-off workers have less money to buy the goods and services they need. That further lowers demand. In the form of expansive monetary policy and fiscal policy, government intervention is required to stop the downward spiral. After the stock market crash of 1929, the government did not step in right away. This delay led to the Great Depression, which lasted 10 years and led to a 25% unemployment rate.

Frictional Unemployment

Attached: calculated crystals.
~~~
[1]
Pr3Ag3Hg2: theoretical XRD peak list (Cu Kα X-rays), based on the GGA-PBE geometry in Alexandria.
Peak positions follow from Bragg's law for the DFT cell and can differ from measured ones.

Structural model:
```
Pr3Ag3Hg2
1.0
2.4274 -5.6150 0.0000
2.4274 5.6150 0.0000
0.0000 0.0000 15.3517
Pr Ag Hg
6 6 4
direct
0.0852 0.9148 0.6035
0.0852 0.9148 0.8965
0.3525 0.6475 0.7500
0.6475 0.3525 0.2500
0.9148 0.0852 0.1035
0.9148 0.0852 0.3965
0.3703 0.6297 0.2500
0.3920 0.6080 0.5432
0.3920 0.6080 0.9568
0.6080 0.3920 0.0432
0.6080 0.3920 0.4568
0.6297 0.3703 0.7500
0.2083 0.7917 0.1047
0.2083 0.7917 0.3953
0.7917 0.2083 0.6047
0.7917 0.2083 0.8953
```

Most intense lines, 5° ≤ 2θ ≤ 70°, most intense first:
2θ = 35.00°, 2.564 Å, intensity 100
2θ = 30.74°, 2.909 Å, intensity 99
2θ = 37.03°, 2.427 Å, intensity 47
2θ = 38.37°, 2.346 Å, intensity 34
2θ = 32.40°, 2.763 Å, intensity 24
2θ = 51.90°, 1.762 Å, intensity 22

***

[2]
ErNi5H7: theoretical XRD peak list (Cu Kα X-rays), based on the GGA-PBE geometry in Alexandria.
Peak positions follow from Bragg's law for the DFT cell and can differ from measured ones.

Structural model:
```
ErNi5H7
1.0
2.6949 -4.1910 0.0000
2.6949 4.1910 0.0000
-2.3049 0.0000 4.4155
Er Ni H
1 5 7
direct
0.0000 0.0000 0.0000
0.3090 0.8647 0.6326
0.3895 0.3895 0.6089
0.4192 0.7370 0.1603
0.7370 0.4192 0.1603
0.8647 0.3090 0.6326
0.0135 0.4942 0.0046
0.0622 0.0622 0.5706
0.0674 0.4621 0.4390
0.4621 0.0674 0.4390
0.4942 0.0135 0.0046
0.5163 0.5163 0.3552
0.5912 0.5912 0.9811
```

Most intense lines, 5° ≤ 2θ ≤ 70°, most intense first:
2θ = 38.11°, 2.361 Å, intensity 100
2θ = 37.66°, 2.388 Å, intensity 81
2θ = 40.86°, 2.209 Å, intensity 65
2θ = 35.12°, 2.555 Å, intensity 50
2θ = 39.88°, 2.261 Å, intensity 47
2θ = 29.38°, 3.040 Å, intensity 39

***

[3]
Cs4ZrTe5: theoretical XRD peak list (Cu Kα X-rays), based on the GGA-PBE geometry in Alexandria.
Peak positions follow from Bragg's law for the DFT cell and can differ from measured ones.

Structural model:
```
Cs4ZrTe5
1.0
-5.8138 5.8138 3.9236
5.8138 -5.8138 3.9236
5.8138 5.8138 -3.9236
Cs Zr Te
4 1 5
direct
0.0758 0.6991 0.7749
0.3009 0.0758 0.3767
0.6991 0.9242 0.6233
0.9242 0.3009 0.2251
0.4024 0.4024 0.0000
0.0543 0.0543 0.0000
0.2846 0.4364 0.7055
0.4364 0.7310 0.1519
0.5791 0.2846 0.8481
0.7310 0.5791 0.2945
```

Most intense lines, 5° ≤ 2θ ≤ 70°, most intense first:
2θ = 24.21°, 3.677 Å, intensity 100
2θ = 33.40°, 2.683 Å, intensity 79
2θ = 22.66°, 3.924 Å, intensity 76
2θ = 29.96°, 2.983 Å, intensity 36
2θ = 41.67°, 2.168 Å, intensity 27
2θ = 25.63°, 3.475 Å, intensity 23

***

[4]
Mg6Pt: theoretical XRD peak list (Cu Kα X-rays), based on the GGA-PBE geometry in Alexandria.
Peak positions follow from Bragg's law for the DFT cell and can differ from measured ones.

Structural model:
```
Mg6Pt
1.0
4.2039 -3.6262 0.0000
4.2039 3.6262 0.0000
0.0000 0.0000 9.5404
Mg Pt
12 2
direct
0.0251 0.6076 0.2500
0.1560 0.8440 0.5929
0.1560 0.8440 0.9071
0.3278 0.3278 0.0000
~~~
The calculated crystals stop here.

Frictional unemployment occurs when workers leave their old jobs but haven’t yet found new ones. Most of the time, workers leave voluntarily, either because they need to move or have saved enough money to allow them to look for a better job. Frictional unemployment also occurs when students are looking for that first job or when mothers are returning to the workforce. It also happens when workers are fired or, in some cases, laid off due to business-specific reasons, such as a plant closure. Frictional unemployment is short-term and a natural part of the job search process. In fact, frictional unemployment is good for the economy, as it allows workers to move to jobs where they can be more productive.

Structural Unemployment

Structural unemployment exists when shifts occur in the economy that create a mismatch between the skills workers have and the skills needed by employers. An example of this is an industry’s replacement of machinery workers with robots. Workers now need to learn how to manage the robots that replaced them. Those that don’t learn need retraining for other jobs or face long-term structural unemployment. A long recession often creates structural unemployment. If workers stay unemployed for too long, their skills have likely become outdated. Unless they are willing and able to take a lower-level, unskilled job, they may stay unemployed even when the economy recovers. If this happens, structural unemployment leads to a higher rate of natural unemployment. 

Natural Unemployment

Natural unemployment consists of two of the three main types of unemployment: frictional and structural. It explains why there will always be some level of unemployment, even in a healthy economy. People will always be changing jobs, and sometimes they leave a job before finding a new one. There will always be some people with skills that are no longer needed. The lowest level of unemployment was 2.5%, right after the Korean War. Employers had a hard time finding workers. It occurred because the economy was in a bubble that soon burst and led to a recession. A healthy economy will have a natural unemployment rate of 4.5%-5%.

Long-Term Unemployment

Long-term unemployment occurs for those actively looking for a job for over 27 weeks. The effects are devastating. Many employers overlook someone who’s been looking for that long. The emotional and financial costs can be very damaging, according to a Pew Research Survey.  For example, 38% have lost self-respect. Almost 30% said their new job was worse than their old one. Sadly, 43% said they would have a hard time achieving their career goals.

Real Unemployment

Real unemployment is not one of the types of unemployment, but it’s an important term to understand. Many people argue that instead of the “official” unemployment rate, we should use an alternate rate. The Bureau of Labor Statistics calls it the “U-6” rate. Others call it the “real” unemployment rate because it uses a broader definition of unemployment. It includes these two categories:

Marginally attached workers: They haven’t looked for work in the past four weeks, but have looked within the past year. Some of them become discouraged workers who have given up looking for work.Part-time workers: They would like a full-time job but can only find part-time employment.

Seasonal Unemployment

You might also hear of seasonal unemployment as another type of unemployment. As its name suggests, seasonal unemployment results from regular changes in the season. Workers affected by seasonal unemployment include resort workers, ski instructors, and ice cream vendors. It could also include people who harvest crops. Construction workers are laid off in the winter in most parts of the country. School employees can also be considered seasonal workers. The BLS does not measure seasonal unemployment. Instead, it adjusts its unemployment estimates to rule out seasonal factors. This adjustment gives a more accurate estimate of the unemployment rate.

Classical Unemployment

Classical unemployment is also known as “real wage unemployment” or “induced unemployment.” It’s when wages are so high that employers can’t hire all the available workers. In other words, wages are higher than the laws of supply and demand would normally dictate. It occurs in one of these three situations: The result is that companies must pay more in wages per employee. So, they can afford fewer employees. Those that are laid off are victims of classical unemployment.


Underemployed workers have jobs, but they aren’t working to their full capacity or skill level. This category includes those who are working part-time but would prefer full-time jobs. It also includes those who are working in jobs where they aren’t being utilized. Underemployment is often caused by cyclical unemployment. During a recession, underemployed workers will take what they can to make ends meet. Some definitions of underemployment include unemployment. Others include segments of society that are not included in the standard definition of unemployment but are counted in the real unemployment rate. Awareness of underemployment helps you understand the big picture of unemployment.